== Wanted ==
Could you print all of the lines further down exactly?
== Given ==
Calculated powder X-ray diffraction pattern
Compound: Ac5Sm2Y6
Radiation: CuKα
Structure: a cell relaxed with GGA-PBE

Top 12 peaks for 5 to 70 degrees two-theta, most intense first:
index  d/Å  I_rel
2 3 1  2.924  100
1 7 0  3.009  88
2 0 1  3.197  32
2 2 1  3.064  25
4 2 0  2.865  23
1 7 2  1.602  20
1 7 1  2.357  19
3 4 1  2.445  18
1 5 1  2.779  16
0 0 2  1.893  16
4 1 0  2.943  15
1 10 1  1.865  13

Structural model:
Unit cell a=11.880 b=21.780 c=3.787 alpha=90.00 beta=90.00 gamma=90.00
Space group Pbam (No. 55)
Unique sites:
Ac  0.000  0.000  0.000 [2 per cell]
Ac  0.072  0.426  0.000 [4 per cell]
Ac  0.145  0.723  0.000 [4 per cell]
Sm  0.116  0.283  0.500 [4 per cell]
Y  0.084  0.152  0.000 [4 per cell]
Y  0.159  0.881  0.500 [4 per cell]
Y  0.227  0.558  0.500 [4 per cell]

=====

This entry pairs a crystal structure of KAg2PtBr8 with its simulated powder XRD pattern. Radiation: Cu Kα (λ = 1.5418 Å). Structure: a crystal structure in Alexandria, relaxed with GGA-PBE.

Structural model:
Unit cell a=6.8618 b=7.2257 c=9.0914 alpha=100.47 beta=93.47 gamma=110.06
Space group P-1 (No. 2)
Inequivalent atoms, fractional coordinates:
K1 0.0000 0.0000 0.0000 (multiplicity 1)
Ag1 0.3986 0.4324 0.8005 (multiplicity 2)
Pt1 0.0000 0.0000 0.5000 (multiplicity 1)
Br1 0.0521 0.7670 0.2788 (multiplicity 2)
Br2 0.0805 0.7881 0.6679 (multiplicity 2)
Br3 0.3799 0.2162 0.5322 (multiplicity 2)
Br4 0.4707 0.7567 0.0003 (multiplicity 2)

The 6 most intense peaks (5 to 70 degrees two-theta), sorted by position:
| hkl | d_spacing | Position (°2θ) | I_rel |
| --- | --- | --- | --- |
| 0 1 -1 | 5.960 | 14.86 | 72 |
| 1 -1 0 | 5.751 | 15.41 | 72 |
| 1 0 -1 | 5.543 | 15.99 | 100 |
| 2 0 0 | 3.194 | 27.93 | 46 |
| 1 -2 2 | 2.982 | 29.96 | 74 |
| -1 2 2 | 2.560 | 35.06 | 81 |

=====

Record 1
Pm4Cd3Ag5: theoretical X-ray powder pattern (Cu Kα (λ = 1.5418 Å)), based on a GGA-PBE-relaxed structure.
Intensities are scaled so that the largest is 100.

Largest 8 diffraction maxima, low angle first, 2θ from 5° to 70°:
| 2θ/deg | I_rel |
| --- | --- |
| 27.13 | 42 |
| 29.10 | 30 |
| 30.61 | 91 |
| 32.70 | 49 |
| 35.26 | 100 |
| 35.87 | 40 |
| 38.47 | 43 |
| 48.85 | 31 |

Structure:
```
12
Lattice="6.6845 -2.5451 0.0000 6.6845 2.5451 0.0000 -6.4427 0.0000 9.2061" Properties=species:S:1:pos:R:3 pbc="T T T"
Pm -1.4128 0.0000 2.5527
Pm -1.4522 0.0000 6.5689
Pm 8.3785 0.0000 2.6372
Pm 8.3391 0.0000 6.6534
Cd 2.9789 0.0000 0.5565
Cd 6.6845 0.0000 0.0000
Cd 3.9475 0.0000 8.6496
Ag 0.0000 0.0000 0.0000
Ag 0.8994 0.0000 4.6057
Ag 3.4972 0.0000 3.2578
Ag 3.4291 0.0000 5.9483
Ag 6.0269 0.0000 4.6004
```

---

Record 2
Pm4CdAg3: theoretical X-ray powder pattern (Cu Kα (λ = 1.5418 Å)), based on a GGA-PBE-relaxed structure.
Intensities are scaled so that the largest is 100.

Largest 8 diffraction maxima, low angle first, 2θ from 5° to 70°:
| 2θ/deg | I_rel |
| --- | --- |
| 30.42 | 21 |
| 31.01 | 100 |
| 33.13 | 36 |
| 35.59 | 44 |
| 36.55 | 38 |
| 37.98 | 50 |
| 50.14 | 29 |
| 62.40 | 29 |

Structure:
```
8
Lattice="3.7365 0.0000 0.0000 0.0000 4.9171 0.0000 0.0000 0.0000 11.7536" Properties=species:S:1:pos:R:3 pbc="T T T"
Pm 0.0000 0.0000 0.0000
Pm 0.0000 2.4586 3.3816
Pm 1.8683 0.0000 5.7240
Pm 1.8683 2.4586 9.3750
Cd 0.0000 0.0000 8.4233
Ag 0.0000 2.4586 6.6451
Ag 1.8683 0.0000 2.5518
Ag 1.8683 2.4586 0.8231
```

---

Record 3
Pm2Cd3Ag: theoretical X-ray powder pattern (Cu Kα (λ = 1.5418 Å)), based on a GGA-PBE-relaxed structure.
Intensities are scaled so that the largest is 100.

Largest 8 diffraction maxima, low angle first, 2θ from 5° to 70°:
| 2θ/deg | I_rel |
| --- | --- |
| 33.32 | 100 |
| 35.77 | 85 |
| 44.77 | 4 |
| 49.68 | 32 |
| 53.55 | 9 |
| 62.71 | 31 |
| 64.26 | 15 |
| 66.08 | 27 |

Structure:
```
6
Lattice="3.4225 0.0000 0.0000 0.0000 5.0187 0.0000 0.0000 0.0000 8.7012" Properties=species:S:1:pos:R:3 pbc="T T T"
Pm 0.0000 0.0000 0.0000
Pm 0.0000 2.5094 4.2067
Cd 1.7112 0.0000 5.7117
Cd 1.7112 2.5094 1.3857
Cd 1.7112 2.5094 7.1622
Ag 1.7112 0.0000 2.8308
== Solution ==
Calculated powder X-ray diffraction pattern
Compound: Ac5Sm2Y6
Radiation: CuKα
Structure: a cell relaxed with GGA-PBE

Top 12 peaks for 5 to 70 degrees two-theta, most intense first:
index  d/Å  I_rel
2 3 1  2.924  100
1 7 0  3.009  88
2 0 1  3.197  32
2 2 1  3.064  25
4 2 0  2.865  23
1 7 2  1.602  20
1 7 1  2.357  19
3 4 1  2.445  18
1 5 1  2.779  16
0 0 2  1.893  16
4 1 0  2.943  15
1 10 1  1.865  13

Structural model:
Unit cell a=11.880 b=21.780 c=3.787 alpha=90.00 beta=90.00 gamma=90.00
Space group Pbam (No. 55)
Unique sites:
Ac  0.000  0.000  0.000 [2 per cell]
Ac  0.072  0.426  0.000 [4 per cell]
Ac  0.145  0.723  0.000 [4 per cell]
Sm  0.116  0.283  0.500 [4 per cell]
Y  0.084  0.152  0.000 [4 per cell]
Y  0.159  0.881  0.500 [4 per cell]
Y  0.227  0.558  0.500 [4 per cell]

=====

This entry pairs a crystal structure of KAg2PtBr8 with its simulated powder XRD pattern. Radiation: Cu Kα (λ = 1.5418 Å). Structure: a crystal structure in Alexandria, relaxed with GGA-PBE.

Structural model:
Unit cell a=6.8618 b=7.2257 c=9.0914 alpha=100.47 beta=93.47 gamma=110.06
Space group P-1 (No. 2)
Inequivalent atoms, fractional coordinates:
K1 0.0000 0.0000 0.0000 (multiplicity 1)
Ag1 0.3986 0.4324 0.8005 (multiplicity 2)
Pt1 0.0000 0.0000 0.5000 (multiplicity 1)
Br1 0.0521 0.7670 0.2788 (multiplicity 2)
Br2 0.0805 0.7881 0.6679 (multiplicity 2)
Br3 0.3799 0.2162 0.5322 (multiplicity 2)
Br4 0.4707 0.7567 0.0003 (multiplicity 2)

The 6 most intense peaks (5 to 70 degrees two-theta), sorted by position:
| hkl | d_spacing | Position (°2θ) | I_rel |
| --- | --- | --- | --- |
| 0 1 -1 | 5.960 | 14.86 | 72 |
| 1 -1 0 | 5.751 | 15.41 | 72 |
| 1 0 -1 | 5.543 | 15.99 | 100 |
| 2 0 0 | 3.194 | 27.93 | 46 |
| 1 -2 2 | 2.982 | 29.96 | 74 |
| -1 2 2 | 2.560 | 35.06 | 81 |

=====

Record 1
Pm4Cd3Ag5: theoretical X-ray powder pattern (Cu Kα (λ = 1.5418 Å)), based on a GGA-PBE-relaxed structure.
Intensities are scaled so that the largest is 100.

Largest 8 diffraction maxima, low angle first, 2θ from 5° to 70°:
| 2θ/deg | I_rel |
| --- | --- |
| 27.13 | 42 |
| 29.10 | 30 |
| 30.61 | 91 |
| 32.70 | 49 |
| 35.26 | 100 |
| 35.87 | 40 |
| 38.47 | 43 |
| 48.85 | 31 |

Structure:
```
12
Lattice="6.6845 -2.5451 0.0000 6.6845 2.5451 0.0000 -6.4427 0.0000 9.2061" Properties=species:S:1:pos:R:3 pbc="T T T"
Pm -1.4128 0.0000 2.5527
Pm -1.4522 0.0000 6.5689
Pm 8.3785 0.0000 2.6372
Pm 8.3391 0.0000 6.6534
Cd 2.9789 0.0000 0.5565
Cd 6.6845 0.0000 0.0000
Cd 3.9475 0.0000 8.6496
Ag 0.0000 0.0000 0.0000
Ag 0.8994 0.0000 4.6057
Ag 3.4972 0.0000 3.2578
Ag 3.4291 0.0000 5.9483
Ag 6.0269 0.0000 4.6004
```

---

Record 2
Pm4CdAg3: theoretical X-ray powder pattern (Cu Kα (λ = 1.5418 Å)), based on a GGA-PBE-relaxed structure.
Intensities are scaled so that the largest is 100.

Largest 8 diffraction maxima, low angle first, 2θ from 5° to 70°:
| 2θ/deg | I_rel |
| --- | --- |
| 30.42 | 21 |
| 31.01 | 100 |
| 33.13 | 36 |
| 35.59 | 44 |
| 36.55 | 38 |
| 37.98 | 50 |
| 50.14 | 29 |
| 62.40 | 29 |

Structure:
```
8
Lattice="3.7365 0.0000 0.0000 0.0000 4.9171 0.0000 0.0000 0.0000 11.7536" Properties=species:S:1:pos:R:3 pbc="T T T"
Pm 0.0000 0.0000 0.0000
Pm 0.0000 2.4586 3.3816
Pm 1.8683 0.0000 5.7240
Pm 1.8683 2.4586 9.3750
Cd 0.0000 0.0000 8.4233
Ag 0.0000 2.4586 6.6451
Ag 1.8683 0.0000 2.5518
Ag 1.8683 2.4586 0.8231
```

---

Record 3
Pm2Cd3Ag: theoretical X-ray powder pattern (Cu Kα (λ = 1.5418 Å)), based on a GGA-PBE-relaxed structure.
Intensities are scaled so that the largest is 100.

Largest 8 diffraction maxima, low angle first, 2θ from 5° to 70°:
| 2θ/deg | I_rel |
| --- | --- |
| 33.32 | 100 |
| 35.77 | 85 |
| 44.77 | 4 |
| 49.68 | 32 |
| 53.55 | 9 |
| 62.71 | 31 |
| 64.26 | 15 |
| 66.08 | 27 |

Structure:
```
6
Lattice="3.4225 0.0000 0.0000 0.0000 5.0187 0.0000 0.0000 0.0000 8.7012" Properties=species:S:1:pos:R:3 pbc="T T T"
Pm 0.0000 0.0000 0.0000
Pm 0.0000 2.5094 4.2067
Cd 1.7112 0.0000 5.7117
Cd 1.7112 2.5094 1.3857
Cd 1.7112 2.5094 7.1622
Ag 1.7112 0.0000 2.8308